general POV
"Pha. Going somewhere"? Forth asked as he saw Phana all ready in his white tee with black jeans and jacket. He was kind of in hurry. Grabbing his bike keys he totally ignored Forth, who was sitting on the couch working on his laptop.
He stopped on his tracks, clenching his fists.
"Its Phana for you. I havent allowed you to call me Pha. And how many times i have told you, whatever i do, wherever i go, its none of your business. You may have bought the company, taking the highest bid to show off your wealth, but mind you Jaturapoom Jamorunhum, you cannot buy me. I am not one of the show pieces decorating your palace. So next time, dont mind my business. Yeah"? Phana turned to leave but his wrist was grabbed. He faced a smiling Forth.
Forth removed a fringe of hair almost stuck in his eyes, fixed his jacket before looking into his eyes.
"Phana baby. I never took you as a piece of decoration. Or something that i bought. Because honestly baby, no piece of money can ever buy my Phana Kongthanin Jamorunhum. You are so expensive baby. And yes i have all the rights to meddle in your business because you are my lawfully wedded husband. Even if we want it this way or not, still we are married baby. This is something i cant do anything about. But yes, i love taking care of you, i love being concerned about you. Because i love you Phana". He was looking at him warmly.
(Here the page breaks off for materials data)
Entry 1:
The following is a PBE-GGA calculation of an optimized crystal structure of CaDyPtO4, from the Alexandria database.

Computed properties:
Energy relative to the elements, uncorrected: -2130 meV/atom
N(E_F): 0.014 states/eV/atom
E: -94.8 eV per cell

```
14
Lattice="-6.519 0.632 0.457 2.821 -0.688 -5.969 -0.190 -5.233 4.529" Properties=species:S:1:pos:R:3 pbc="T T T"
O -0.351 -3.798 0.241
O -4.839 -3.630 3.541
O -1.867 -1.386 -4.327
O -2.021 -3.903 3.343
O -3.608 -3.468 0.486
O 0.951 -1.660 -4.524
O -0.280 -1.821 -1.469
O -3.537 -1.491 -1.225
Dy -3.354 -2.301 2.493
Dy -3.259 0.316 0.229
Ca -0.298 -4.796 2.384
Ca -3.590 -0.494 -3.367
Pt -1.944 -2.645 -0.492
Pt 1.315 -2.961 -0.720
```



Entry 2:
The following is a PBE-GGA calculation of an optimized crystal structure of TaFeSi, from the Alexandria database.

Computed properties:
Energy relative to the elements, uncorrected: -618 meV/atom
N(E_F): 0.781 states/eV/atom
E: -110.4 eV per cell

```
12
Lattice="-0.267 3.356 -1.629 -4.444 1.582 3.988 4.818 2.508 4.375" Properties=species:S:1:pos:R:3 pbc="T T T"
Si -1.411 2.947 4.154
Si 0.604 5.971 5.761
Si -0.497 1.475 0.972
Si 1.518 4.499 2.579
Ta 1.242 3.324 0.203
Ta -1.584 3.801 1.649
Ta -1.135 4.122 6.530
Ta 1.691 3.645 5.084
Fe -3.532 2.349 3.272
Fe 3.639 5.097 3.462
Fe -0.362 4.962 3.841
Fe 0.469 2.484 2.893
```



Entry 3:
The following is a PBE-GGA calculation of an optimized crystal structure of RbReNF2, from the Alexandria database.

Computed properties:
Energy relative to the elements, uncorrected: 1243 meV/atom
ΔE to the lowest computed polymorph: 2314 meV per atom
N(E_F): 0.260 states/eV/atom
E: -19.3 eV per cell

```
5
Lattice="5.278 0.000 0.000 0.000 5.278 0.000 0.000 0.000 5.258" Properties=species:S:1:pos:R:3 pbc="T T T"
N 0.000 0.000 2.629
Rb 0.000 0.000 0.000
F 2.639 0.000 0.000
F 0.000 2.639 0.000
Re 2.639 2.639 2.629
```



Entry 4:
The following is a PBE-GGA calculation of an optimized crystal structure of Zr2ReN, from the Alexandria database.

Computed properties:
Energy relative to the elements, uncorrected: -112 meV/atom
N(E_F): 0.659 states/eV/atom
E: -76.6 eV per cell

```
8
Lattice="-0.956 -2.427 -5.751 5.773 1.870 -1.749 3.766 -3.435 -2.644" Properties=species:S:1:pos:R:3 pbc="T T T"
N 5.974 -0.922 -4.071
N 2.408 -0.278 -3.750
Zr 1.139 -1.956 -4.034
Zr 5.072 -2.642 -4.929
Zr 4.357 -0.179 -2.913
Zr 6.598 -3.206 -8.412
Re 0.000 0.000 0.000
Re 2.609 -3.070 -6.072
```
Only if Phana's heart wasnt stone cold. He stubbornly shook himself off his grip. No matter what Forth was telling truth. Still. He doesnt want to believe it or admit it.
"Whatever. If you want to poke your nose in my matters, welcome to hell". With that he pushed him away a bit and left their home.
Forth heard his sports bike coming to life before the sound fade away. Forth sighed before messaging his men to take care of his husband who would be wasted in alcohol soon. He knew Phana has gone to pick Wayo and then crash the bar till late. Not that he ever stopped him, but there was a little hole in his chest that burnt always when Phana left him for his ex.
It was 1 in the night and Forth was still waiting for his men to inform him about Phana, when he finally got a location from one of his men. He grabbed his keys and fled off. The bar was a top notch in the area, not much far away. He entered the bar and saw one of the bodyguards nodding his head in Phana's direction who was clearly wasted drunk. Alone. His brows frowned a bit. Wasnt Phana with Wayo? Where was he?
He looked around only to find the famous shorty making out with his NOW BOYFRIEND. He clucked his tongue in disapproval. It was the reason he always forbade Phana to date Wayo because he caught him lot many times before, but Phana didnt believe him ever. So this time Forth made sure to shoot the video to show it to his husband when he will be sober.
Not even bothering to spare a glance towards Wayo, he picked Phana in his arms and left the bar. He was worried and upset but mostly in pain. He loved him. A lot. Since beginning. But today, he wasnt even his friend.
Forth POV
"Forth. The staff has asked the previous Moon of the campus to help with the nongs". Pha came in the engineering cafeteria and sat down with a huff beside me.
"So whats the matter"? I racked his hair as he placed his head on my shoulder. I was sitting with my freinds about some Hazing activity. And they knew now i cant focus on anything but Phana. He is my friend since long. And may be, just may be i love him too. But i never told him. I dont want to lose my friend. So i buried my feelings deep with in me.

Falling for my Enemy
FanfictionWhen you realise you have feelings more than friends for a specific friend and you know you cannot do anything. ForthPha my first ever crack pair love. I dont care they are Alpha Alpha. But since i am more into Alpha Alpha pairs so yes its my love...